## Listing
____________
(1)
Density functional theory data (PBE-GGA) for an optimized crystal structure of Fe4IrRh5.

M_tot (μB/atom): 1.49
V (Å³ per atom): 15.28
Formation enthalpy at 0 K (eV/atom): 0.35

Lattice parameters (Å, degrees): 4.2109 6.3968 6.3968 78.36 70.78 70.78
With the nearest neighbours (Å) after each atom.
Sites, in units of the cell vectors:
Rh  0.9920  0.0953  0.4208  4 Rh 2.54-2.63, 4 Fe 2.63-2.82, 1 Ir 2.66
Rh  0.5080  0.9047  0.5792  4 Rh 2.54-2.63, 4 Fe 2.63-2.82, 1 Ir 2.66
Rh  0.7500  0.5000  0.5000  4 Rh 2.54, 4 Fe 2.55
Rh  0.9920  0.4208  0.0953  4 Rh 2.54-2.63, 4 Fe 2.63-2.82, 1 Ir 2.66
Ir  0.2500  0.0000  0.0000  6 Fe 2.55-2.61, 4 Rh 2.66
Fe  0.9104  0.8396  0.8396  2 Ir 2.55, 6 Rh 2.63-2.82
Fe  0.2500  0.6770  0.3230  4 Rh 2.55-2.65, 1 Ir 2.61
Fe  0.5896  0.1604  0.1604  2 Ir 2.55, 6 Rh 2.63-2.82
Rh  0.5080  0.5792  0.9047  4 Rh 2.54-2.63, 4 Fe 2.63-2.82, 1 Ir 2.66
Fe  0.2500  0.3230  0.6770  4 Rh 2.55-2.65, 1 Ir 2.61

---

(2)
Density functional theory data (PBE-GGA) for an optimized crystal structure of FeIr9Rh2.

M_tot (μB/atom): 0.14
V (Å³ per atom): 14.26
Formation enthalpy at 0 K (eV/atom): -0.02

Lattice parameters (Å, degrees): 3.8533 3.8533 11.5265 90.00 90.00 90.00
With the nearest neighbours (Å) after each atom.
Sites, in units of the cell vectors:
Rh  0.0000  0.0000  0.6674  12 Ir 2.72-2.74
Ir  0.5000  0.0000  0.1630  2 Fe 2.69, 8 Ir 2.69-2.74, 2 Rh 2.74
Ir  0.5000  0.0000  0.8370  2 Fe 2.69, 8 Ir 2.69-2.74, 2 Rh 2.74
Fe  0.0000  0.0000  0.0000  12 Ir 2.69-2.72
Ir  0.5000  0.5000  0.6676  4 Rh 2.72, 8 Ir 2.73-2.74
Ir  0.0000  0.5000  0.1630  2 Fe 2.69, 8 Ir 2.69-2.74, 2 Rh 2.74
Ir  0.5000  0.5000  0.3324  4 Rh 2.72, 8 Ir 2.73-2.74
Ir  0.5000  0.0000  0.5000  8 Ir 2.72-2.73, 4 Rh 2.73
Ir  0.0000  0.5000  0.8370  2 Fe 2.69, 8 Ir 2.69-2.74, 2 Rh 2.74
Ir  0.5000  0.5000  0.0000  8 Ir 2.69, 4 Fe 2.72
Rh  0.0000  0.0000  0.3326  12 Ir 2.72-2.74
Ir  0.0000  0.5000  0.5000  8 Ir 2.72-2.73, 4 Rh 2.73

---

(3)
Density functional theory data (PBE-GGA) for an optimized crystal structure of Fe2IrRh.

M_tot (μB/atom): 1.35
V (Å³ per atom): 13.37
Formation enthalpy at 0 K (eV/atom): 0.04

Lattice parameters (Å, degrees): 8.6002 8.6002 8.6002 18.07 18.07 18.07
With the nearest neighbours (Å) after each atom.
Sites, in units of the cell vectors:
Fe  0.9983  0.9983  0.9983  9 Fe 2.56-2.70, 3 Rh 2.59
Ir  0.5036  0.5036  0.5036  3 Fe 2.59, 6 Ir 2.70, 3 Rh 2.77
Rh  0.7465  0.7465  0.7465  3 Fe 2.59, 6 Rh 2.70, 3 Ir 2.77
Fe  0.2516  0.2516  0.2516  9 Fe 2.56-2.70, 3 Ir 2.59

---

(4)
Density functional theory data (PBE-GGA) for an optimized crystal structure of Fe4Ir5Rh2.

M_tot (μB/atom): 0.92
V (Å³ per atom): 14.32
Formation enthalpy at 0 K (eV/atom): 0.24

Lattice parameters (Å, degrees): 4.0912 4.7644 8.8379 109.37 103.38 90.00
With the nearest neighbours (Å) after each atom.
Sites, in units of the cell vectors:
Rh  0.4167  0.4094  0.8333  3 Fe 2.40-2.45, 1 Ir 2.69
Ir  0.1974  0.8807  0.3948  5 Fe 2.59-2.89, 4 Ir 2.65-2.71, 2 Rh 2.84
Rh  0.5833  0.5906  0.1667  3 Fe 2.40-2.45, 1 Ir 2.69
Fe  0.2810  0.4477  0.5620  1 Rh 2.40, 2 Fe 2.44, 6 Ir 2.55-2.68
Ir  0.8761  0.7064  0.7522  5 Fe 2.47-2.66, 2 Ir 2.65-2.68, 2 Rh 2.71
Ir  0.5000  0.0000  0.0000  4 Fe 2.51, 4 Rh 2.69-2.79
Fe  0.0355  0.7616  0.0710  1 Fe 2.37, 2 Rh 2.45, 4 Ir 2.47-2.65
Ir  0.1239  0.2936  0.2478  5 Fe 2.47-2.66, 2 Ir 2.65-2.68, 2 Rh 2.71
Fe  0.9645  0.2384  0.9290  1 Fe 2.37, 2 Rh 2.45, 4 Ir 2.47-2.65
Ir  0.8026  0.1193  0.6052  5 Fe 2.59-2.89, 4 Ir 2.65-2.71, 2 Rh 2.84
Fe  0.7190  0.5523  0.4380  1 Rh 2.40, 2 Fe 2.44, 6 Ir 2.55-2.68

---

(5)
Density functional theory data (PBE-GGA) for an optimized crystal structure of FeIr5Rh2.

M_tot (μB/atom): 0.27
Polymorph energy (0 for the lowest one) (meV per atom): 0
V (Å³ per atom): 14.14
Formation enthalpy at 0 K (eV/atom): -0.02

Lattice parameters (Å, degrees): 3.8418 3.8418 8.1303 103.67 103.67 90.00
With the nearest neighbours (Å) after each atom.
Sites, in units of the cell vectors:
____________

## Brief
Your job: duplicate the listing earlier on from the first line to the one with "atom): 14.32" with every line break kept.

## Here it is
(1)
Density functional theory data (PBE-GGA) for an optimized crystal structure of Fe4IrRh5.

M_tot (μB/atom): 1.49
V (Å³ per atom): 15.28
Formation enthalpy at 0 K (eV/atom): 0.35

Lattice parameters (Å, degrees): 4.2109 6.3968 6.3968 78.36 70.78 70.78
With the nearest neighbours (Å) after each atom.
Sites, in units of the cell vectors:
Rh  0.9920  0.0953  0.4208  4 Rh 2.54-2.63, 4 Fe 2.63-2.82, 1 Ir 2.66
Rh  0.5080  0.9047  0.5792  4 Rh 2.54-2.63, 4 Fe 2.63-2.82, 1 Ir 2.66
Rh  0.7500  0.5000  0.5000  4 Rh 2.54, 4 Fe 2.55
Rh  0.9920  0.4208  0.0953  4 Rh 2.54-2.63, 4 Fe 2.63-2.82, 1 Ir 2.66
Ir  0.2500  0.0000  0.0000  6 Fe 2.55-2.61, 4 Rh 2.66
Fe  0.9104  0.8396  0.8396  2 Ir 2.55, 6 Rh 2.63-2.82
Fe  0.2500  0.6770  0.3230  4 Rh 2.55-2.65, 1 Ir 2.61
Fe  0.5896  0.1604  0.1604  2 Ir 2.55, 6 Rh 2.63-2.82
Rh  0.5080  0.5792  0.9047  4 Rh 2.54-2.63, 4 Fe 2.63-2.82, 1 Ir 2.66
Fe  0.2500  0.3230  0.6770  4 Rh 2.55-2.65, 1 Ir 2.61

---

(2)
Density functional theory data (PBE-GGA) for an optimized crystal structure of FeIr9Rh2.

M_tot (μB/atom): 0.14
V (Å³ per atom): 14.26
Formation enthalpy at 0 K (eV/atom): -0.02

Lattice parameters (Å, degrees): 3.8533 3.8533 11.5265 90.00 90.00 90.00
With the nearest neighbours (Å) after each atom.
Sites, in units of the cell vectors:
Rh  0.0000  0.0000  0.6674  12 Ir 2.72-2.74
Ir  0.5000  0.0000  0.1630  2 Fe 2.69, 8 Ir 2.69-2.74, 2 Rh 2.74
Ir  0.5000  0.0000  0.8370  2 Fe 2.69, 8 Ir 2.69-2.74, 2 Rh 2.74
Fe  0.0000  0.0000  0.0000  12 Ir 2.69-2.72
Ir  0.5000  0.5000  0.6676  4 Rh 2.72, 8 Ir 2.73-2.74
Ir  0.0000  0.5000  0.1630  2 Fe 2.69, 8 Ir 2.69-2.74, 2 Rh 2.74
Ir  0.5000  0.5000  0.3324  4 Rh 2.72, 8 Ir 2.73-2.74
Ir  0.5000  0.0000  0.5000  8 Ir 2.72-2.73, 4 Rh 2.73
Ir  0.0000  0.5000  0.8370  2 Fe 2.69, 8 Ir 2.69-2.74, 2 Rh 2.74
Ir  0.5000  0.5000  0.0000  8 Ir 2.69, 4 Fe 2.72
Rh  0.0000  0.0000  0.3326  12 Ir 2.72-2.74
Ir  0.0000  0.5000  0.5000  8 Ir 2.72-2.73, 4 Rh 2.73

---

(3)
Density functional theory data (PBE-GGA) for an optimized crystal structure of Fe2IrRh.

M_tot (μB/atom): 1.35
V (Å³ per atom): 13.37
Formation enthalpy at 0 K (eV/atom): 0.04

Lattice parameters (Å, degrees): 8.6002 8.6002 8.6002 18.07 18.07 18.07
With the nearest neighbours (Å) after each atom.
Sites, in units of the cell vectors:
Fe  0.9983  0.9983  0.9983  9 Fe 2.56-2.70, 3 Rh 2.59
Ir  0.5036  0.5036  0.5036  3 Fe 2.59, 6 Ir 2.70, 3 Rh 2.77
Rh  0.7465  0.7465  0.7465  3 Fe 2.59, 6 Rh 2.70, 3 Ir 2.77
Fe  0.2516  0.2516  0.2516  9 Fe 2.56-2.70, 3 Ir 2.59

---

(4)
Density functional theory data (PBE-GGA) for an optimized crystal structure of Fe4Ir5Rh2.

M_tot (μB/atom): 0.92
V (Å³ per atom): 14.32